# To do
What is needed: transcribe everything below character by character.
# Source
[1]
{"formula": "C5H9NS2", "method": "wB97M-V/def2-TZVPD", "species": ["C", "C", "C", "C", "C", "H", "H", "H", "H", "H", "H", "H", "H", "H", "N", "S", "S"], "positions_angstrom": [[-1.412, 1.640, 0.366], [0.045, 1.364, 0.610], [0.678, 0.579, -0.536], [0.462, -1.897, -1.062], [0.417, -1.041, 1.159], [-1.956, 0.706, 0.138], [-1.520, 2.295, -0.528], [-1.870, 2.105, 1.214], [0.607, 2.293, 0.815], [1.746, 0.775, -0.636], [0.207, 0.705, -1.519], [-0.474, -2.491, -0.977], [1.336, -2.534, -0.829], [0.484, -1.534, -2.078], [0.489, -0.808, -0.151], [0.413, -2.544, 1.882], [0.347, 0.385, 2.131]], "atomic_forces_ev_per_a": [[-0.387, -0.223, -1.190], [0.818, 1.224, 0.208], [0.022, -0.516, 0.134], [0.060, -1.165, -0.321], [0.071, -1.550, 0.799], [0.207, 0.283, 0.197], [0.020, -0.276, 0.598], [-0.335, 0.315, 0.445], [-0.354, -0.199, -0.470], [0.149, 0.176, -0.012], [-0.066, 0.422, 0.330], [0.632, 0.251, 0.275], [-0.519, -0.060, -0.465], [0.307, 0.209, -0.268], [-0.513, 0.503, 0.703], [-0.025, 0.295, -0.272], [-0.087, 0.310, -0.692]], "total_energy_ha": -1047.048317, "orbital_gap_ev": 8.7, "e_above_lowest_kcal_mol": 0.0, "multiplicity": 1}

---

[2]
{"formula": "C13H19N5O3", "method": "wB97M-V/def2-TZVPD", "species": ["C", "C", "C", "N", "C", "N", "C", "C", "C", "O", "N", "C", "O", "N", "C", "H", "H", "H", "C", "H", "H", "H", "N", "H", "C", "H", "C", "O", "C", "H", "H", "H", "H", "H", "H", "H", "H", "H", "H", "H"], "positions_angstrom": [[-3.941, 1.763, -1.004], [-3.263, 0.647, -0.822], [-2.541, 0.330, 0.458], [-1.111, 0.324, 0.254], [-0.341, -0.602, -0.370], [0.932, -0.240, -0.471], [0.984, 0.986, 0.095], [-0.260, 1.380, 0.554], [-0.486, 2.622, 1.208], [-1.540, 3.042, 1.658], [0.701, 3.365, 1.295], [1.961, 3.004, 0.846], [2.913, 3.742, 0.988], [2.082, 1.773, 0.234], [3.366, 1.326, -0.257], [4.100, 2.091, -0.009], [3.318, 1.184, -1.337], [3.628, 0.378, 0.212], [0.628, 4.668, 1.934], [1.291, 4.693, 2.799], [-0.404, 4.824, 2.240], [0.941, 5.441, 1.234], [-0.846, -1.750, -0.894], [-1.734, -2.042, -0.508], [0.061, -2.823, -1.234], [0.954, -2.370, -1.666], [0.469, -3.654, -0.001], [1.460, -4.612, -0.259], [1.035, -5.717, -1.018], [1.850, -6.438, -0.986], [0.134, -6.171, -0.588], [0.837, -5.450, -2.061], [0.904, -2.981, 0.743], [-0.426, -4.136, 0.430], [-0.431, -3.452, -1.979], [-2.853, -0.647, 0.848], [-2.751, 1.100, 1.203], [-3.160, -0.084, -1.613], [-4.437, 1.985, -1.933], [-4.024, 2.501, -0.223]], "atomic_forces_ev_per_a": [[-0.104, 0.048, -0.041], [0.116, -0.141, 0.133], [-0.467, 0.004, -0.070], [0.424, -0.290, -0.029], [-0.075, 0.562, 0.244], [0.412, -0.151, -0.129], [-1.381, 0.118, 0.337], [0.824, 0.061, -0.172], [0.031, -0.399, -0.169], [-0.227, 0.022, 0.043], [-0.047, 0.220, 0.105], [0.093, -0.118, -0.071], [0.185, 0.232, 0.063], [0.028, -0.028, -0.001], [0.296, -0.033, -0.082], [-0.075, -0.117, -0.043], [0.053, -0.012, 0.014], [0.041, 0.014, -0.033], [-0.044, 0.263, 0.135], [-0.026, 0.038, -0.047], [0.135, 0.003, -0.029], [0.001, -0.013, 0.064], [-0.471, -0.163, 0.190], [0.053, 0.071, -0.069], [0.320, -0.428, 0.046], [-0.068, -0.137, -0.064], [-0.092, 0.269, -0.049], [0.132, 0.084, -0.012], [0.000, -0.028, -0.029], [-0.074, -0.052, -0.066], [0.009, -0.007, -0.011], [-0.007, -0.041, 0.014], [-0.151, -0.007, -0.024], [0.067, 0.066, -0.006], [0.121, 0.064, -0.006], [0.047, 0.117, 0.049], [0.010, -0.198, -0.026], [-0.047, -0.028, -0.170], [-0.067, -0.009, -0.201], [0.025, 0.143, 0.211]], "total_energy_ha": -1006.303804, "orbital_gap_ev": 8.3, "e_above_lowest_kcal_mol": 23.7, "multiplicity": 1}

---

[3]
# Completed
[1]
{"formula": "C5H9NS2", "method": "wB97M-V/def2-TZVPD", "species": ["C", "C", "C", "C", "C", "H", "H", "H", "H", "H", "H", "H", "H", "H", "N", "S", "S"], "positions_angstrom": [[-1.412, 1.640, 0.366], [0.045, 1.364, 0.610], [0.678, 0.579, -0.536], [0.462, -1.897, -1.062], [0.417, -1.041, 1.159], [-1.956, 0.706, 0.138], [-1.520, 2.295, -0.528], [-1.870, 2.105, 1.214], [0.607, 2.293, 0.815], [1.746, 0.775, -0.636], [0.207, 0.705, -1.519], [-0.474, -2.491, -0.977], [1.336, -2.534, -0.829], [0.484, -1.534, -2.078], [0.489, -0.808, -0.151], [0.413, -2.544, 1.882], [0.347, 0.385, 2.131]], "atomic_forces_ev_per_a": [[-0.387, -0.223, -1.190], [0.818, 1.224, 0.208], [0.022, -0.516, 0.134], [0.060, -1.165, -0.321], [0.071, -1.550, 0.799], [0.207, 0.283, 0.197], [0.020, -0.276, 0.598], [-0.335, 0.315, 0.445], [-0.354, -0.199, -0.470], [0.149, 0.176, -0.012], [-0.066, 0.422, 0.330], [0.632, 0.251, 0.275], [-0.519, -0.060, -0.465], [0.307, 0.209, -0.268], [-0.513, 0.503, 0.703], [-0.025, 0.295, -0.272], [-0.087, 0.310, -0.692]], "total_energy_ha": -1047.048317, "orbital_gap_ev": 8.7, "e_above_lowest_kcal_mol": 0.0, "multiplicity": 1}

---

[2]
{"formula": "C13H19N5O3", "method": "wB97M-V/def2-TZVPD", "species": ["C", "C", "C", "N", "C", "N", "C", "C", "C", "O", "N", "C", "O", "N", "C", "H", "H", "H", "C", "H", "H", "H", "N", "H", "C", "H", "C", "O", "C", "H", "H", "H", "H", "H", "H", "H", "H", "H", "H", "H"], "positions_angstrom": [[-3.941, 1.763, -1.004], [-3.263, 0.647, -0.822], [-2.541, 0.330, 0.458], [-1.111, 0.324, 0.254], [-0.341, -0.602, -0.370], [0.932, -0.240, -0.471], [0.984, 0.986, 0.095], [-0.260, 1.380, 0.554], [-0.486, 2.622, 1.208], [-1.540, 3.042, 1.658], [0.701, 3.365, 1.295], [1.961, 3.004, 0.846], [2.913, 3.742, 0.988], [2.082, 1.773, 0.234], [3.366, 1.326, -0.257], [4.100, 2.091, -0.009], [3.318, 1.184, -1.337], [3.628, 0.378, 0.212], [0.628, 4.668, 1.934], [1.291, 4.693, 2.799], [-0.404, 4.824, 2.240], [0.941, 5.441, 1.234], [-0.846, -1.750, -0.894], [-1.734, -2.042, -0.508], [0.061, -2.823, -1.234], [0.954, -2.370, -1.666], [0.469, -3.654, -0.001], [1.460, -4.612, -0.259], [1.035, -5.717, -1.018], [1.850, -6.438, -0.986], [0.134, -6.171, -0.588], [0.837, -5.450, -2.061], [0.904, -2.981, 0.743], [-0.426, -4.136, 0.430], [-0.431, -3.452, -1.979], [-2.853, -0.647, 0.848], [-2.751, 1.100, 1.203], [-3.160, -0.084, -1.613], [-4.437, 1.985, -1.933], [-4.024, 2.501, -0.223]], "atomic_forces_ev_per_a": [[-0.104, 0.048, -0.041], [0.116, -0.141, 0.133], [-0.467, 0.004, -0.070], [0.424, -0.290, -0.029], [-0.075, 0.562, 0.244], [0.412, -0.151, -0.129], [-1.381, 0.118, 0.337], [0.824, 0.061, -0.172], [0.031, -0.399, -0.169], [-0.227, 0.022, 0.043], [-0.047, 0.220, 0.105], [0.093, -0.118, -0.071], [0.185, 0.232, 0.063], [0.028, -0.028, -0.001], [0.296, -0.033, -0.082], [-0.075, -0.117, -0.043], [0.053, -0.012, 0.014], [0.041, 0.014, -0.033], [-0.044, 0.263, 0.135], [-0.026, 0.038, -0.047], [0.135, 0.003, -0.029], [0.001, -0.013, 0.064], [-0.471, -0.163, 0.190], [0.053, 0.071, -0.069], [0.320, -0.428, 0.046], [-0.068, -0.137, -0.064], [-0.092, 0.269, -0.049], [0.132, 0.084, -0.012], [0.000, -0.028, -0.029], [-0.074, -0.052, -0.066], [0.009, -0.007, -0.011], [-0.007, -0.041, 0.014], [-0.151, -0.007, -0.024], [0.067, 0.066, -0.006], [0.121, 0.064, -0.006], [0.047, 0.117, 0.049], [0.010, -0.198, -0.026], [-0.047, -0.028, -0.170], [-0.067, -0.009, -0.201], [0.025, 0.143, 0.211]], "total_energy_ha": -1006.303804, "orbital_gap_ev": 8.3, "e_above_lowest_kcal_mol": 23.7, "multiplicity": 1}

---

[3]